## File
# 1
This record from the OMol25 dataset describes 17 unconnected molecules or ions with the total composition C80H211N17O11 at a distorted geometry. The level of theory is ωB97M-V with the def2-TZVPD basis set.

Last column: Mulliken charge in e.
Cartesian coordinates (Å):
C -5.79 -2.61 -1.18  -1.46
C -5.02 -1.29 -1.21  1.07
N -5.72 -0.28 -1.97  -0.15
C -6.75 0.32 -1.06  0.09
C -7.86 1.25 -1.70  -1.30
C -4.87 0.84 -2.51  -0.20
C -3.87 0.42 -3.54  -0.56
H -5.12 -3.33 -0.71  0.10
H -6.17 -2.91 -2.16  0.44
H -6.69 -2.50 -0.57  0.40
H -4.93 -0.98 -0.17  0.11
H -3.98 -1.47 -1.46  -0.56
H -7.18 -0.49 -0.47  0.38
H -6.28 0.96 -0.31  -0.05
H -8.81 0.75 -1.52  0.35
H -7.85 2.19 -1.14  0.28
H -7.74 1.34 -2.78  0.40
H -4.25 1.17 -1.67  -0.02
H -5.50 1.65 -2.87  0.54
H -3.22 -0.35 -3.12  -0.55
H -3.30 1.24 -3.97  0.34
H -4.36 -0.04 -4.40  0.37
C -2.61 8.70 2.52  -1.34
C -2.56 7.21 2.74  0.70
N -1.41 6.76 3.55  0.57
C -1.56 6.95 5.01  -0.35
C -0.16 7.17 5.61  -1.02
C -0.95 5.41 3.24  -1.43
C -1.82 4.25 3.77  1.57
H -1.75 9.04 1.94  0.27
H -2.60 9.32 3.41  0.45
H -3.55 8.90 2.00  0.19
H -3.54 6.94 3.14  -0.02
H -2.54 6.86 1.71  -0.35
H -2.13 7.87 5.07  0.55
H -2.07 6.16 5.57  0.05
H -0.29 7.28 6.69  0.40
H 0.55 6.39 5.34  -0.02
H 0.27 8.13 5.34  0.33
H 0.11 5.22 3.43  0.45
H -1.06 5.30 2.16  -0.14
H -1.50 3.36 3.23  -0.52
H -2.86 4.40 3.48  -0.12
H -1.76 4.01 4.83  -0.25
C -3.77 -6.19 -0.23  -1.63
C -2.21 -5.93 -0.10  0.25
N -1.52 -5.87 -1.42  1.69
C -1.62 -7.15 -2.14  -0.89
C -0.88 -8.35 -1.43  -1.37
C -2.00 -4.80 -2.25  -1.97
C -1.69 -3.37 -1.67  0.83
H -4.32 -5.60 -0.96  0.29
H -4.21 -6.17 0.77  0.41
H -3.90 -7.22 -0.58  0.48
H -2.22 -4.93 0.34  -0.87
H -1.65 -6.59 0.56  0.40
H -2.69 -7.35 -2.20  0.52
H -1.33 -7.02 -3.18  0.56
H 0.21 -8.36 -1.40  0.08
H -1.13 -8.44 -0.37  0.42
H -1.10 -9.34 -1.82  0.50
H -3.05 -4.88 -2.51  0.15
H -1.51 -4.87 -3.22  0.53
H -1.94 -2.56 -2.36  0.27
H -0.61 -3.25 -1.54  -0.64
H -2.13 -3.10 -0.71  -0.02
C 6.25 -3.48 0.85  -1.78
C 5.40 -2.54 -0.06  1.21
N 6.19 -1.80 -1.05  0.04
C 7.13 -0.91 -0.27  -0.93
C 6.48 0.35 0.36  -0.32
C 5.35 -1.12 -2.10  2.27
C 6.28 -0.37 -3.07  -1.72
H 6.91 -3.03 1.59  0.43
H 6.72 -4.16 0.14  0.39
H 5.59 -4.16 1.38  0.28
H 4.62 -3.10 -0.59  -0.21
H 4.85 -1.86 0.58  -0.41
H 7.87 -0.60 -1.00  0.44
H 7.66 -1.44 0.52  0.51
H 5.78 -0.01 1.12  0.02
H 5.94 0.94 -0.38  -0.24
H 7.27 0.94 0.81  0.54
H 4.75 -1.88 -2.60  -0.63
H 4.62 -0.46 -1.62  -0.74
H 7.09 -1.02 -3.40  0.48
H 5.71 -0.14 -3.97  -0.06
H 6.71 0.56 -2.72  0.35
C 1.86 -7.60 -3.75  -1.80
C 1.49 -6.10 -3.95  0.04
N 2.65 -5.20 -4.31  0.46
C 2.18 -3.94 -4.97  0.50
C 1.74 -4.22 -6.41  -1.26
C 3.59 -5.07 -3.12  0.75
C 5.01 -4.65 -3.54  -1.21
H 2.43 -7.85 -4.64  0.46
H 0.96 -8.21 -3.62  0.37
H 2.61 -7.74 -2.97  0.18
H 0.69 -6.04 -4.69  0.55
H 1.07 -5.74 -3.01  0.00
H 1.26 -3.60 -4.49  -0.45
H 2.85 -3.08 -4.96  0.18
H 2.62 -4.42 -7.02  0.21
H 1.12 -5.11 -6.49  0.44
H 1.26 -3.31 -6.77  -0.01
H 3.66 -6.02 -2.60  0.20
H 3.14 -4.36 -2.42  -0.51
H 4.95 -3.76 -4.16  -0.04
H 5.65 -5.43 -3.95  0.44
H 5.54 -4.22 -2.68  0.28
C -1.51 5.14 -5.30  -0.85
C -0.84 6.23 -4.50  -0.12
N -1.55 6.65 -3.26  0.00
C -0.69 7.66 -2.60  -0.31
C -1.42 8.15 -1.35  -0.81
C -1.81 5.52 -2.33  0.13
C -0.63 4.70 -1.91  0.83
H -1.33 4.15 -4.90  -0.23
H -1.06 5.16 -6.29  0.44
H -2.59 5.31 -5.30  0.36
H 0.12 5.80 -4.25  -0.06
H -0.49 7.12 -5.03  0.59
H 0.27 7.22 -2.33  0.12
H -0.49 8.51 -3.25  0.56
H -1.01 9.10 -0.99  0.52
H -2.49 8.34 -1.46  0.09
H -1.27 7.48 -0.51  -0.02
H -2.51 4.84 -2.82  0.54
H -2.44 5.83 -1.50  -1.47
H -0.92 3.92 -1.21  0.05
H 0.13 5.33 -1.45  0.34
H -0.14 4.13 -2.71  -0.75
C -4.76 0.06 4.00  -1.66
C -3.61 0.90 4.57  2.21
C -4.19 2.15 5.26  -1.19
O -4.86 2.99 4.35  -0.27
C -5.41 4.22 4.90  -0.73
N -2.95 0.10 5.62  -0.13
H -4.33 -0.85 3.58  0.28
H -5.37 0.54 3.24  0.33
H -5.46 -0.25 4.77  0.45
H -2.89 1.25 3.82  -1.02
H -3.34 2.71 5.65  0.33
H -4.76 1.99 6.18  0.58
H -6.25 4.63 4.34  0.24
H -4.64 4.99 5.05  0.11
H -5.82 3.92 5.87  0.44

## Exercise
It remains to work out how many lines above have the word "molecules" in them; a number is enough.

## Reply
1